Permanent Board minutes | September 19, 2020

​​​​​​20-76: Opening Worship

Friends opened with a period of worship. We were invited to share joys and sorrows. A Friend noted that Quakers are good at holding one another up; during these challenging times we hope that gift will continue.

Leslie Manning, Clerk, welcomed Friends to the first meeting of the Permanent Board since Sessions 2020. We welcomed Beth Hansen, Diane Weinholtz, Donn Weinholtz, and Morgan Wilson to the Permanent Board. We also welcomed Scot Drysdale who serves ex-officio on the Permanent Board as clerk of the Finance Committee.

20-77: Roll Call

The recording clerk called the roll:

Present: Leslie Manning, Clerk; Hannah Zwirner Forsythe, Recording Clerk; Travis Belcher, Peter Bishop, Martin Zwirner Forsythe, Chris Gant, Beth Hansen, Ian Harrington, Rebecca Leuchak, Ed Mair, Christopher McCandless, Jean McCandless, Gina Nortonsmith, Anna Raddochia, Carole Rein, John Reuthe, Martha Schwope, Sara Smith, Will Taber, Bill Walkauskas, Diane Weinholtz, Donn Weinholtz, Morgan Wilson, Tom Vargo, Mary Zwirner

Ex-Officio: Scot Drysdale (Finance Clerk); Noah Merrill (Secretary); Bob Murray (Treasurer); Bruce Neumann (Presiding Clerk); Elizabeth Reuthe (Secretary’s Supervisor)

• These calculated molecules were left in the piece by mistake:
<<<
Formula: C10H10BBrO2
Source: the OMol25 dataset
Level of theory: ωB97M-V/def2-TZVPD

Calculated values
ΔE to the lowest compared entry with this formula, charge and spin: 0.0 kcal per mole
energy: -3136.476913 a.u.
HOMO: -0.3014 hartree
frontier orbital gap: 8.34 eV

Structure (ORCA input):
```
! RIJCOSX wB97M-V def2-TZVPD def2/J DEFGRID3
* xyz 0 1
B -1.78 -1.63 -0.01
C 2.59 0.69 1.71
C 1.80 -0.33 2.19
C 2.18 1.42 0.61
C 0.59 -0.61 1.58
C 0.99 1.12 -0.05
C 0.17 0.10 0.46
C 0.63 1.87 -1.24
C -0.27 1.46 -2.14
C -1.02 0.21 -2.02
C -1.17 -0.17 -0.10
O -1.31 -2.54 -0.89
O -2.71 -1.88 0.93
Br -2.42 1.19 0.56
H 3.53 0.93 2.19
H 2.12 -0.90 3.05
H 2.79 2.22 0.23
H -0.04 -1.39 1.98
H 1.16 2.79 -1.41
H -0.47 2.06 -3.02
H -2.05 0.25 -2.36
H -0.51 -0.68 -2.37
H -1.69 -3.42 -0.87
H -3.10 -2.76 0.98
*
```

=====

# 1
Formula: C37H53CaF2N7O
Source: OMol25
Level of theory: wB97M-V/def2-TZVPD

Structure (XYZ):
```
101
C37H53CaF2N7O, DFT wB97M-V/def2-TZVPD
Ca 0.1359 0.0355 0.3540
F 0.5530 -1.4083 3.2439
F -1.1122 0.0741 3.3298
O 2.1205 0.4051 0.5406
N 0.5102 2.0672 -1.1195
N 0.7085 4.4155 -0.9736
N -1.3290 3.3760 -0.5595
N -1.8923 1.1340 -0.2152
N -3.0268 -1.6572 -0.3586
N -3.5124 2.8406 -0.1122
N -0.3738 -2.5146 -0.4644
C 1.5375 2.2653 2.6446
C -0.5689 -0.9676 2.4900
C 3.6970 0.3425 -2.0929
C 4.6828 -1.1659 -0.3312
C 0.1295 5.6450 -1.4819
C 0.9207 3.6632 2.7110
C 2.8722 -4.3029 -0.6493
C 1.2769 -4.1716 1.2948
C 3.0713 1.2638 0.8665
C -1.2614 -4.7784 -0.8688
C -6.2777 -0.3228 -1.3991
C 1.6884 -3.8120 -0.1054
C 4.3116 1.2676 0.1911
C -4.4299 -1.3926 -2.7392
C -6.8156 0.1111 -0.1963
C 0.4279 -1.7020 -3.0285
C -2.2408 2.3570 -0.3024
C 1.7093 1.6802 4.0461
C 3.8367 3.1498 2.1855
C 0.8976 -2.9986 -0.9155
C -4.1039 -0.8714 2.2709
C -5.0386 -0.9472 -1.4403
C 2.8388 2.2347 1.8707
C 5.0523 3.1601 1.5205
C -1.3440 -3.3323 -0.4539
C 1.2902 -2.6138 -2.1996
C 3.2546 -3.9874 -1.9407
C 5.2702 2.2152 0.5281
C -3.6992 -3.8986 0.4204
C -4.3496 -1.1462 -0.2384
C -6.1123 -0.0864 0.9802
C 2.4752 -3.1315 -2.7030
C -2.7406 -2.8585 -0.0948
C 0.0163 3.2278 -0.9214
C -4.8670 -0.7131 0.9867
C 4.6304 0.2558 -0.8842
C 2.1570 4.3430 -1.0856
H 0.9394 -1.4310 -3.9511
H 0.7440 1.5626 4.5383
H -4.5793 -3.4326 0.8530
H 2.6832 0.0551 -1.8115
H 5.0555 -1.8557 -1.0902
H -4.0282 -4.5513 -0.3905
H -1.2904 -5.4332 0.0042
H 3.5026 -4.9370 -0.0383
H -3.2188 -4.5281 1.1695
H 0.7286 -3.3695 1.7820
H 0.8148 1.6289 2.1314
H -6.5272 0.2491 1.9229
H -6.8175 -0.1681 -2.3251
H 2.3401 2.3396 4.6491
H 0.1740 -0.7716 -2.5110
H 3.6741 1.3565 -2.5018
H 2.5644 3.6323 -0.3654
H 4.1794 -4.3785 -2.3424
H 6.2176 2.2013 -0.0006
H -0.3413 -4.9772 -1.4117
H -4.3964 -2.4823 -2.8134
H -0.5243 -2.1706 -3.2903
H -3.7103 -1.8773 2.4062
H 4.0273 -0.3293 -2.8890
H 5.3436 -1.2204 0.5355
H -2.1134 -5.0424 -1.4958
H 2.1585 -4.3734 1.9018
H -5.0054 -1.0180 -3.5844
H 2.7866 -2.8523 -3.7021
H -3.4006 -1.0397 -2.8261
H 0.8021 4.1016 1.7180
H -0.0586 3.6209 3.1930
H 5.6375 0.5042 -1.2395
H 1.5424 4.3418 3.2980
H -4.7455 -0.6471 3.1217
>>>
• Here the piece continues:

Visitors: Clarence Burley, Marian Dalton, Nan Davies, Susan Davies, Sarah Gant, Janet Hough, Allan Kohrman, LouAnne McDonald, Jackie Stillwell, Carolyn Stone, Nia Thomas, Honor Woodrow, Kathleen Wooten, Rod Zwirner

Regrets: Darcy Drayton, Deana Chase, Kim Harvey Garcia, Elizabeth Szatkowski

20-78: July Permanent Board Minutes for Approval

The minutes from our July meeting were distributed to Friends for review. The minutes of appreciation written for Allan Kohrman, Shearman Taber, and Honor Woodrow were read aloud.

Friends had the opportunity to ask questions. Friends approved the minutes from the July meeting.

20-79: Sessions 2020 Minutes for Approval

Approval of some minutes from Sessions was postponed until this meeting to save time at Sessions for programming. Peter Bishop and Marian Dalton, Sessions recording clerks, presented outstanding minutes from Sessions for Friends’ approval.

Friends struggled with Minute 2020-18, concerning Thursday morning’s meeting about the Call to Action that would accompany the Letter of Apology to Native Peoples. We were caught between a desire not to erase insensitive and racist statements made in our meetings and a concern that the minute did not include the response to the sentiments that troubled Friends. When we attempt to make our minutes a verbatim record of the meeting but don’t include all voices it has the effect of valuing some voices over others.

Our minutes are intended to capture the sense of the meeting, but not every message given. This minute will go back to the Sessions Clerks’ Table for re-writing.

Friends noted that in Minute 2020-30 the word “Black” needs to be capitalized in a few places.

The minutes, excepting Minute 2020-18 which will come back to our October meeting, were approved.

20-80: Presiding Clerk’s Report

Bruce Neumann, Presiding Clerk, spoke to his written report which is appended. Since the close of Sessions, Bruce has met with relevant parties to follow up on the action items and minutes that Sessions approved for further work.

Friends expressed gratitude for Bruce’s faithful work to assemble our annual Sessions with specific attention to the needs of our community during this time of virtual gatherings.

​​​​​​​​​​​​​​20-81: Sessions Committee Clerk’s Report

Rebecca Leuchak, clerk of the Sessions Committee, reported to Friends about our virtual week together in August. Rebecca expressed deep gratitude for everyone who worked to make Sessions happen and their faith that we would manage a gathering in a new and different world; “community is possible on Zoom,” and everything worked better than we thought it would.

Rebecca pointed out a number of pieces of the week that we should be particularly proud of: our youth programs were well-received and the program coordinators worked tirelessly to make them happen; our technology team worked hard behind the scenes to make tech issues few and minor; and we had a substantial number of newcomers, approximately 15% of the gathered Friends.

There were challenges: Friends mourned the informal gatherings that are part of Sessions when we are in person, and we missed workshops. Though the home groups were appreciated by many attendees, others experienced microaggressions both from attendees and leaders. This underscores the need for more widespread conversations and training about the way that racism permeates our culture and our gatherings.

Many Friends noted that Sessions felt more dominated by spirit than business and process. We wonder what made it more possible to have a spirit-led week. How might we recreate that when we are in person? We appreciate Bruce’s decision to focus on the activism of Friends and the social justice issues that are at the forefront of most of our minds.

Friends wondered if there is a way to continue virtual gatherings throughout the year. While we hope to be able to gather in person next year, it would be great to offer a virtual option.

​​​​​​​20-82: FY2021 Budget Approval

Bob Murray, Treasurer and former clerk of the Finance Committee (FC), presented the FY2021 budget for final approval. The budget and commentary are appended.

Following a listening session on the budget, FC chose not to make any changes to the budget. However, they stress that the FY2021 budget should be viewed as a spending plan. The year ahead has many unknowns and FC does not pretend to know how events of the year will affect our finances. Any changes that need to be made will come to the Permanent Board for approval. The concern about monthly meeting (MM) contributions continues as MMs also experience the economic effects of the pandemic. Hopefully MMs that do have the resources will consider contributing more, as able.

Friends had the opportunity to ask questions and voice any concerns. Some Friends had concerns about how the FY2022 budget would be constructed given that we typically hear input at Sessions. We are reminded of the approved ongoing priorities funding process.

Friends approved the FY2021 budget.

​​​​​​​​​​​​​​20-83: Update on FY2020

Noah Merrill, Yearly Meeting Secretary, updated Friends on the current fiscal year. It is always hard to do this in the final weeks of September because we receive so many of our donations in the last days and weeks of the fiscal year.

We have not heard of any intended significant changes from monthly meetings in their donations to the Yearly Meeting. We have seen some increased giving from individuals. We are grateful for the contributions and we acknowledge the privilege that many of us have to continue to give and to increase our contributions.

Our actuals for FY2020 will look different than our budget. There will be a large difference because Sessions did not run in person. We did at least as well at covering the costs of Sessions as we typically do when we are in person. We covered all direct costs and a substantial portion of the staff costs.

We appear to be within $15,000 of our individual giving goal for the FY2020 budget. We have not yet seen major financial impacts from the pandemic. But we do not know how different things will look in the next year.

Continued financial support of Friends Camp will be necessary. We are currently in the process of applying for forgiveness of the paycheck protection program (PPP) loan. Given the guidelines in the legislation for the PPP and the guidance from our bank we don’t anticipate difficulty having the loan forgiven but do have the resources to cover that expense from reserves.

Reserves are still at the level that the Finance Committee says are necessary.

​​​​​​​20-84 Secretary’s Report

​​​​​​​Noah Merrill, Yearly Meeting Secretary, shared the priorities for his attention in the coming year. Noah’s Areas of Focus document is appended. It is a draft that requires continued reflection with Elizabeth Reuthe, Supervisor of the Yearly Meeting Secretary, and with Coordinating and Advisory. The work described in the Areas of Focus belongs to many people but is intended to communicate the shared work that will be at the forefront of Noah’s mind throughout the year.

Our work as the Permanent Board (PB) is to prayerfully organize and coordinate the work of the Yearly Meeting (YM). This has required new, scary, and bold action this year. But we have seen over the past years that when PB has been willing to faithfully make bold decisions that the YM is led into new and better places. Our work is essential. Noah reiterated a commitment to helping PB stay aware of the life and challenges of the wider body. Much will be shifting underfoot and one of Noah’s foci for the year is to ensure that PB has sufficient information about the goings on throughout the YM to properly fulfill our role.

Lastly, Noah shared an update that the YM has finally been issued our group exemption number which allows MMs to more easily prove that they are tax exempt.

​​​​​​​20-85: Repurposing of the Personnel Committee

Elizabeth Reuthe, Secretary’s Supervisor, presented the report proposing a repurposing of the Personnel Committee into a Personnel Resource Group. This report, including background information on the repurposing and a proposed Purposes, Procedures, and Composition for the group, is appended.

Friends were asked to approve laying down the Personnel Committee. Friends approved.

Friends were asked if they were clear to create a Personnel Resource Group to be constituted by Internal Nominating. Friends approved.

Friends were asked to approve the Purpose, Procedures, and Composition of the Personnel Resource Group. Friends approved.

​​​​​​​20-86: Internal Nominating

Internal Nominating brought the names of Elizabeth Szatkowski and Nat Shed to populate the newly formed Personnel Resource Group. They will serve for terms of three years.

Friends approved.

​​​​​​​20-87: Friends Camp Nominating

John Reuthe, clerk of Friends Camp Nominating Committee, brought the nomination of Sarah LeFleur to the Friends Camp Committee.

Friends approved.

~~~
Record 1
144
Properties=species:S:1:pos:R:3:lowdin_charge:R:1 method="wB97M-V/def2-TZVPD" gap_ev=4.63 total_charge=+1 spin_multiplicity=1 molar_mass_g_mol=903.0 e_tot_ha=-3243.89410
C -27.93163 -2.24855 1.17064 0.02
C -26.75322 -3.12969 1.66014 -0.43
C -25.46888 -2.50237 0.99666 -0.12
C -24.09908 -2.81602 1.60506 -0.17
C -24.05657 -2.41361 3.07643 -0.11
C -25.25022 -3.11913 3.87343 -0.42
N -26.58474 -3.17058 3.13732 0.14
O -27.65503 -3.56887 3.92687 0.18
C -25.38287 -2.18772 5.05210 -0.03
C -24.90288 -4.58334 4.26200 0.03
C -26.82676 -4.53610 1.12632 -0.02
H -28.82312 -2.43868 1.76831 0.09
H -28.09882 -2.61721 0.15859 0.10
H -27.74323 -1.17647 1.22761 0.10
H -25.50669 -1.43239 0.79221 0.13
H -25.38999 -2.89425 -0.01739 0.13
H -23.34721 -2.28889 1.01777 0.12
H -23.75429 -3.82743 1.39001 0.12
H -24.02443 -1.32557 3.13321 0.13
H -23.15314 -2.68668 3.62175 0.13
H -25.64737 -1.16085 4.79978 0.11
H -24.36623 -2.08676 5.43208 0.11
H -26.00180 -2.54462 5.87529 0.10
H -25.30755 -4.67560 5.26989 0.10
H -23.83023 -4.77294 4.30170 0.10
H -25.30274 -5.32957 3.57547 0.09
H -27.06765 -4.62569 0.06705 0.11
H -27.44626 -5.34600 1.51151 0.11
H -25.82535 -4.96599 1.14782 0.09
C -34.92901 -1.37642 1.29784 -0.16
C -35.17032 -2.70629 1.91491 -0.13
O -34.83001 -3.53428 0.85277 0.08
C -34.08454 -2.95486 -0.06425 -0.54
O -33.40944 -3.51171 -0.92279 0.13
O -34.27893 -1.62009 0.08611 0.08
H -34.21307 -0.85065 1.92959 0.13
H -35.82834 -0.76191 1.25669 0.14
H -36.21941 -2.78534 2.20000 0.14
H -34.48821 -2.79668 2.76029 0.14
C -27.79604 4.07494 -0.07739 -0.13
C -28.23214 5.49291 -0.45917 -0.07
O -27.08897 6.30124 0.00836 0.07
C -26.30183 5.59986 0.81998 -0.60
O -25.39157 5.97374 1.50810 0.16
O -26.79350 4.37286 0.85480 0.05
H -27.44392 3.47905 -0.91942 0.13
H -28.69618 3.73959 0.43778 0.13
H -29.08892 5.77262 0.15384 0.13
H -28.43610 5.51280 -1.52974 0.13
C -23.79006 -11.39603 -2.48323 -0.08
C -24.84992 -10.81648 -3.36633 -0.13
O -25.39010 -9.99859 -2.36070 0.04
C -25.58879 -10.74453 -1.26760 -0.53
O -26.41157 -10.68966 -0.34057 0.11
O -24.61021 -11.69642 -1.26261 0.04
H -23.04603 -10.66768 -2.16070 0.14
H -23.32461 -12.29802 -2.88055 0.13
H -25.58155 -11.51008 -3.78073 0.14
H -24.41848 -10.23153 -4.17861 0.14
C -33.72843 -0.39490 7.70733 -0.11
C -33.13571 0.96480 8.33237 -0.07
O -32.11464 1.33856 7.41890 0.05
C -31.82896 0.34827 6.55936 -0.54
O -31.03344 0.36403 5.64497 0.13
O -32.73631 -0.63444 6.76576 0.04
H -34.77398 -0.28333 7.42013 0.12
H -33.75815 -1.20844 8.43216 0.12
H -32.70096 0.68500 9.29195 0.13
H -33.79525 1.83167 8.29176 0.13
O -25.53967 -0.69985 -4.76072 -0.06
H -24.96604 -1.45651 -4.88175 0.02
H -26.25200 -0.83637 -5.38536 0.03
O -32.39977 -7.23005 1.82678 -0.05
H -32.37159 -6.32163 1.52640 0.02
H -32.54677 -7.74146 1.03113 0.03
O -25.23355 -4.97037 -4.97314 -0.06
H -25.07348 -5.49592 -5.75698 0.03
H -26.18704 -4.94223 -4.89367 0.03
O -29.07146 -4.87164 9.22178 -0.05
H -28.24489 -4.40743 9.35411 0.03
H -29.15193 -4.95228 8.27138 0.02
~~~

​​​​​​​20-88: Nominating Committee

Jackie Stillwell, clerk of Yearly Meeting Nominating Committee, brought two nominations to the Permanent Board.

Minga Claggett-Borne for Friends Peace Teams

Anna Raddochia reappointed to the Permanent Board, Class of 2025 Friends approved.

​​​​​​​20-89: Reparations Working Group to Right Relationship Resource Group

As the Reparations Working Group feels their work is complete, Friends were asked to approve laying down that group. Friends approved.

A recommendation to form a Right Relationship Resource Group is appended. This group would help shepherd the work of sharing with monthly meetings the approved Letter of Apology to Native Peoples and the accompanying Call to Action. Friends approved the creation of this group.

​​​​​​​20-90: Closing

​​​​​​​Friends closed with a period of worship. We will meet again over Zoom on October 31st.